# Job
The reader should count the lines further below that contain the word "O53" and give the number alone.
# Excerpt
........
No. 1
# Mg3Cu

An optimized crystal structure of Mg3Cu (meta-GGA r2SCAN, the Materials Project). Values from VASP.

The structure in Quantum ESPRESSO input format:
```
&SYSTEM
  ibrav = 0, nat = 4, ntyp = 2
/
ATOMIC_SPECIES
Mg 24.30 Mg.upf
Cu 63.55 Cu.upf
CELL_PARAMETERS angstrom
-1.622 2.386 4.775
1.622 -2.386 4.775
1.622 2.386 -4.775
ATOMIC_POSITIONS crystal
Mg 0.793 0.718 0.075
Mg 0.087 0.500 0.587
Mg 0.357 0.282 0.075
Cu 0.598 0.000 0.598
```

=====

No. 2
# MgCu

An optimized crystal structure of MgCu (meta-GGA r2SCAN, the Materials Project). Values from VASP.

The structure in Quantum ESPRESSO input format:
```
&SYSTEM
  ibrav = 0, nat = 4, ntyp = 2
/
ATOMIC_SPECIES
Mg 24.30 Mg.upf
Cu 63.55 Cu.upf
CELL_PARAMETERS angstrom
3.097 0.000 0.000
0.000 4.421 -0.006
0.000 -0.006 4.418
ATOMIC_POSITIONS crystal
Mg 0.500 0.574 0.003
Mg 0.500 0.092 0.497
Cu 0.000 0.069 0.998
Cu 0.000 0.598 0.502
```

=====

No. 3
# Mg2Cu

An optimized crystal structure of Mg2Cu (meta-GGA r2SCAN, the Materials Project). Values from VASP.

The structure in Quantum ESPRESSO input format:
```
&SYSTEM
  ibrav = 0, nat = 6, ntyp = 2
/
ATOMIC_SPECIES
Mg 24.30 Mg.upf
Cu 63.55 Cu.upf
CELL_PARAMETERS angstrom
2.360 -3.122 -3.446
-0.050 -2.755 4.427
-4.475 1.328 -2.325
ATOMIC_POSITIONS crystal
Mg 0.500 0.832 0.668
Mg 0.500 0.168 0.332
Mg 0.164 0.332 0.832
Mg 0.836 0.668 0.168
Cu 0.000 0.250 0.250
Cu 0.000 0.750 0.750
```

=====

Spin magnetization
In order: 0.000 0.000 0.000
Unit: μB per atom
Formation enthalpy at 0 K
In order: 0.010 -0.055 -0.078
Unit: eV/atom

=====

Run i
# Ca9MnP7O28 (PBE+U, optimized geometry)
# symmetry	No. 161
# theoretical density	3.02	g/cm3
data_Ca9MnP7O28
_chemical_formula_sum 'Ca18 Mn2 P14 O56'
_symmetry_space_group_name_H-M 'P 1'
_symmetry_Int_Tables_number 1
_cell_length_a 13.916
_cell_length_b 13.916
_cell_length_c 13.916
_cell_angle_alpha 44.13
_cell_angle_beta 44.13
_cell_angle_gamma 44.13
loop_
_symmetry_equiv_pos_as_xyz
'x,y,z'
loop_
_atom_site_label
_atom_site_fract_x
_atom_site_fract_y
_atom_site_fract_z
Ca1 0.025 0.997 0.585
Ca2 0.085 0.497 0.525
Ca3 0.285 0.851 0.864
Ca4 0.351 0.785 0.364
Ca5 0.364 0.351 0.785
Ca6 0.408 0.943 0.967
Ca7 0.443 0.908 0.467
Ca8 0.467 0.443 0.908
Ca9 0.497 0.525 0.085
Ca10 0.525 0.085 0.497
Ca11 0.585 0.025 0.997
Ca12 0.785 0.364 0.351
Ca13 0.851 0.864 0.285
Ca14 0.864 0.285 0.851
Ca15 0.908 0.467 0.443
Ca16 0.943 0.967 0.408
Ca17 0.967 0.408 0.943
Ca18 0.997 0.585 0.025
Mn1 0.435 0.435 0.435
Mn2 0.935 0.935 0.935
P1 0.117 0.625 0.655
P2 0.125 0.617 0.155
P3 0.155 0.125 0.617
P4 0.190 0.190 0.190
P5 0.209 0.755 0.242
P6 0.242 0.209 0.755
P7 0.255 0.709 0.742
P8 0.617 0.155 0.125
P9 0.625 0.655 0.117
P10 0.655 0.117 0.625
P11 0.690 0.690 0.690
P12 0.709 0.742 0.255
P13 0.742 0.255 0.709
P14 0.755 0.242 0.209
O1 0.037 0.790 0.338
O2 0.045 0.325 0.158
O3 0.045 0.571 0.664
O4 0.050 0.593 0.320
O5 0.059 0.795 0.061
O6 0.059 0.799 0.579
O7 0.061 0.059 0.795
O8 0.071 0.545 0.164
O9 0.075 0.271 0.798
O10 0.077 0.797 0.819
O11 0.079 0.299 0.559
O12 0.093 0.550 0.820
O13 0.158 0.045 0.325
O14 0.164 0.071 0.545
O15 0.231 0.231 0.231
O16 0.234 0.846 0.244
O17 0.244 0.234 0.846
O18 0.271 0.798 0.075
O19 0.290 0.537 0.838
O20 0.295 0.559 0.561
O21 0.297 0.577 0.319
O22 0.298 0.771 0.575
O23 0.299 0.559 0.079
O24 0.319 0.297 0.577
O25 0.320 0.050 0.593
O26 0.325 0.158 0.045
O27 0.338 0.037 0.790
O28 0.346 0.734 0.744
O29 0.537 0.838 0.290
O30 0.545 0.164 0.071
O31 0.545 0.658 0.825
O32 0.550 0.820 0.093
O33 0.559 0.079 0.299
O34 0.559 0.561 0.295
O35 0.561 0.295 0.559
O36 0.571 0.664 0.045
O37 0.575 0.298 0.771
O38 0.577 0.319 0.297
O39 0.579 0.059 0.799
O40 0.593 0.320 0.050
O41 0.658 0.825 0.545
O42 0.664 0.045 0.571
O43 0.731 0.731 0.731
O44 0.734 0.744 0.346
O45 0.744 0.346 0.734
O46 0.771 0.575 0.298
O47 0.790 0.338 0.037
O48 0.795 0.061 0.059
O49 0.797 0.819 0.077
O50 0.798 0.075 0.271
O51 0.799 0.579 0.059
O52 0.819 0.077 0.797
O53 0.820 0.093 0.550
O54 0.825 0.545 0.658
O55 0.838 0.290 0.537
........
# Here it is
1